Brief:
The reader should echo all of the contents further below verbatim.

Contents:
[1]
Entry from Alexandria via LeMat-Bulk: an optimized crystal structure of Sr8CdHg2 (PBE).

Calculated values
* final energy: -17.3 eV for the cell shown
* E above lowest polymorph: 25 meV/atom
* DFT formation energy: -20.6 kJ per mole of atoms

a b c (Å): 9.0295 9.0295 6.7131
angles (deg): 99.75 99.75 111.53
With the nearest neighbours (Å) after each atom.
Fractional coordinates of all 11 atoms:
Sr1 0.0000 0.0000 0.0000  2 Hg 3.51, 1 Cd 3.72
Sr2 0.0340 0.2951 0.5877  2 Hg 3.37, 1 Cd 3.61
Sr3 0.1416 0.5918 0.1860  1 Cd 3.50, 2 Hg 3.60
Sr4 0.2951 0.0340 0.5877  2 Hg 3.37, 1 Cd 3.61
Sr5 0.4409 0.7010 0.7790  2 Hg 3.36-3.38, 1 Cd 3.65
Sr6 0.5918 0.1416 0.1860  1 Cd 3.50, 2 Hg 3.60
Sr7 0.7010 0.4409 0.7790  2 Hg 3.36-3.38, 1 Cd 3.65
Sr8 0.7338 0.7338 0.3770  2 Hg 3.51, 1 Cd 3.65
Cd1 0.3666 0.3666 0.3326  8 Sr 3.50-3.72
Hg1 0.0559 0.6819 0.6871  8 Sr 3.36-3.60
Hg2 0.6819 0.0559 0.6871  8 Sr 3.36-3.60

***

[2]
Entry from Alexandria via LeMat-Bulk: an optimized crystal structure of SrCd4Hg2 (PBE).

Calculated values
* final energy: -7.5 eV for the cell shown
* E above lowest polymorph: 0 meV/atom
* DFT formation energy: -21.9 kJ per mole of atoms

a b c (Å): 9.4281 9.4281 4.4333
angles (deg): 90.00 90.00 152.62
With the nearest neighbours (Å) after each atom.
Fractional coordinates of all 7 atoms:
Sr1 0.0000 0.0000 0.0000  8 Hg 3.47
Cd1 0.1868 0.8132 0.5000  2 Hg 2.97, 8 Cd 3.15-3.21
Cd2 0.3102 0.6898 0.0000  2 Hg 3.00, 8 Cd 3.14-3.17
Cd3 0.6898 0.3102 0.0000  2 Hg 3.00, 8 Cd 3.14-3.17
Cd4 0.8132 0.1868 0.5000  2 Hg 2.97, 8 Cd 3.15-3.21
Hg1 0.4204 0.5796 0.5000  1 Hg 2.92, 4 Cd 2.97-3.00
Hg2 0.5796 0.4204 0.5000  1 Hg 2.92, 4 Cd 2.97-3.00


A relaxed KZr3Co crystal. Source: the Alexandria database, functional PBE.

The total energy is -4.47 eV per atom. The size of the total moment comes out at 0.00 μB per formula unit. The value obtained for the energy above the lowest structure with this stoichiometry is 1756 meV/atom. The value obtained for the calculated volume is 21.951 Å³ per atom. For the density of states at the Fermi level, the calculation gives 8.53 states/eV/f.u.

extended XYZ file:
```
5
Lattice="4.788 0.000 0.000 0.000 4.788 0.000 0.000 0.000 4.788" Properties=species:S:1:pos:R:3 pbc="T T T"
Zr 0.000 0.000 2.394
Zr 2.394 0.000 0.000
Zr 0.000 2.394 0.000
Co 2.394 2.394 2.394
K 0.000 0.000 0.000
```

=====

A relaxed Dy2YZn3 crystal. Source: the Alexandria database, functional PBE.

The total energy is -3.59 eV per atom. The size of the total moment comes out at 0.00 μB per formula unit. The value obtained for the calculated volume is 22.818 Å³ per atom. For the density of states at the Fermi level, the calculation gives 6.94 states/eV/f.u.

extended XYZ file:
```
6
Lattice="3.575 0.000 0.000 0.000 3.575 0.000 0.000 0.000 10.713" Properties=species:S:1:pos:R:3 pbc="T T T"
Dy 1.787 1.787 1.780
Dy 1.787 1.787 8.933
Zn 0.000 0.000 0.000
Zn 0.000 0.000 7.154
Zn 0.000 0.000 3.559
Y 1.787 1.787 5.357
```

=====

A relaxed HfMnPb crystal. Source: the Alexandria database, functional PBE.

The total energy is -7.44 eV per atom. The size of the total moment comes out at 0.72 μB per formula unit. The value obtained for the energy above the lowest structure with this stoichiometry is 163 meV/atom. The value obtained for the calculated volume is 20.347 Å³ per atom. For the density of states at the Fermi level, the calculation gives 2.67 states/eV/f.u.

extended XYZ file:
```
12
Lattice="5.779 0.000 -0.045 0.000 3.313 0.000 -3.365 0.000 12.782" Properties=species:S:1:pos:R:3 pbc="T T T"
Mn -1.504 1.656 6.452
Mn 1.562 1.656 0.604
Mn 0.179 0.000 0.061
Mn -0.120 0.000 6.995
Pb 2.551 0.000 8.039
Pb 4.233 1.656 1.648
Pb -0.317 1.656 9.324
Pb 1.366 0.000 2.933
Hf 4.319 0.000 4.471
Hf 2.637 1.656 10.862
Hf -0.274 0.000 11.940
Hf 1.409 1.656 5.549
```

=====

A relaxed Tb2Th6Sc crystal. Source: the Alexandria database, functional PBE.

Done:
[1]
Entry from Alexandria via LeMat-Bulk: an optimized crystal structure of Sr8CdHg2 (PBE).

Calculated values
* final energy: -17.3 eV for the cell shown
* E above lowest polymorph: 25 meV/atom
* DFT formation energy: -20.6 kJ per mole of atoms

a b c (Å): 9.0295 9.0295 6.7131
angles (deg): 99.75 99.75 111.53
With the nearest neighbours (Å) after each atom.
Fractional coordinates of all 11 atoms:
Sr1 0.0000 0.0000 0.0000  2 Hg 3.51, 1 Cd 3.72
Sr2 0.0340 0.2951 0.5877  2 Hg 3.37, 1 Cd 3.61
Sr3 0.1416 0.5918 0.1860  1 Cd 3.50, 2 Hg 3.60
Sr4 0.2951 0.0340 0.5877  2 Hg 3.37, 1 Cd 3.61
Sr5 0.4409 0.7010 0.7790  2 Hg 3.36-3.38, 1 Cd 3.65
Sr6 0.5918 0.1416 0.1860  1 Cd 3.50, 2 Hg 3.60
Sr7 0.7010 0.4409 0.7790  2 Hg 3.36-3.38, 1 Cd 3.65
Sr8 0.7338 0.7338 0.3770  2 Hg 3.51, 1 Cd 3.65
Cd1 0.3666 0.3666 0.3326  8 Sr 3.50-3.72
Hg1 0.0559 0.6819 0.6871  8 Sr 3.36-3.60
Hg2 0.6819 0.0559 0.6871  8 Sr 3.36-3.60

***

[2]
Entry from Alexandria via LeMat-Bulk: an optimized crystal structure of SrCd4Hg2 (PBE).

Calculated values
* final energy: -7.5 eV for the cell shown
* E above lowest polymorph: 0 meV/atom
* DFT formation energy: -21.9 kJ per mole of atoms

a b c (Å): 9.4281 9.4281 4.4333
angles (deg): 90.00 90.00 152.62
With the nearest neighbours (Å) after each atom.
Fractional coordinates of all 7 atoms:
Sr1 0.0000 0.0000 0.0000  8 Hg 3.47
Cd1 0.1868 0.8132 0.5000  2 Hg 2.97, 8 Cd 3.15-3.21
Cd2 0.3102 0.6898 0.0000  2 Hg 3.00, 8 Cd 3.14-3.17
Cd3 0.6898 0.3102 0.0000  2 Hg 3.00, 8 Cd 3.14-3.17
Cd4 0.8132 0.1868 0.5000  2 Hg 2.97, 8 Cd 3.15-3.21
Hg1 0.4204 0.5796 0.5000  1 Hg 2.92, 4 Cd 2.97-3.00
Hg2 0.5796 0.4204 0.5000  1 Hg 2.92, 4 Cd 2.97-3.00


A relaxed KZr3Co crystal. Source: the Alexandria database, functional PBE.

The total energy is -4.47 eV per atom. The size of the total moment comes out at 0.00 μB per formula unit. The value obtained for the energy above the lowest structure with this stoichiometry is 1756 meV/atom. The value obtained for the calculated volume is 21.951 Å³ per atom. For the density of states at the Fermi level, the calculation gives 8.53 states/eV/f.u.

extended XYZ file:
```
5
Lattice="4.788 0.000 0.000 0.000 4.788 0.000 0.000 0.000 4.788" Properties=species:S:1:pos:R:3 pbc="T T T"
Zr 0.000 0.000 2.394
Zr 2.394 0.000 0.000
Zr 0.000 2.394 0.000
Co 2.394 2.394 2.394
K 0.000 0.000 0.000
```

=====

A relaxed Dy2YZn3 crystal. Source: the Alexandria database, functional PBE.

The total energy is -3.59 eV per atom. The size of the total moment comes out at 0.00 μB per formula unit. The value obtained for the calculated volume is 22.818 Å³ per atom. For the density of states at the Fermi level, the calculation gives 6.94 states/eV/f.u.

extended XYZ file:
```
6
Lattice="3.575 0.000 0.000 0.000 3.575 0.000 0.000 0.000 10.713" Properties=species:S:1:pos:R:3 pbc="T T T"
Dy 1.787 1.787 1.780
Dy 1.787 1.787 8.933
Zn 0.000 0.000 0.000
Zn 0.000 0.000 7.154
Zn 0.000 0.000 3.559
Y 1.787 1.787 5.357
```

=====

A relaxed HfMnPb crystal. Source: the Alexandria database, functional PBE.

The total energy is -7.44 eV per atom. The size of the total moment comes out at 0.72 μB per formula unit. The value obtained for the energy above the lowest structure with this stoichiometry is 163 meV/atom. The value obtained for the calculated volume is 20.347 Å³ per atom. For the density of states at the Fermi level, the calculation gives 2.67 states/eV/f.u.

extended XYZ file:
```
12
Lattice="5.779 0.000 -0.045 0.000 3.313 0.000 -3.365 0.000 12.782" Properties=species:S:1:pos:R:3 pbc="T T T"
Mn -1.504 1.656 6.452
Mn 1.562 1.656 0.604
Mn 0.179 0.000 0.061
Mn -0.120 0.000 6.995
Pb 2.551 0.000 8.039
Pb 4.233 1.656 1.648
Pb -0.317 1.656 9.324
Pb 1.366 0.000 2.933
Hf 4.319 0.000 4.471
Hf 2.637 1.656 10.862
Hf -0.274 0.000 11.940
Hf 1.409 1.656 5.549
```

=====

A relaxed Tb2Th6Sc crystal. Source: the Alexandria database, functional PBE.